Administrators can export the administrator reports to get a more in-depth look into their students' data. Admins can select specific date ranges for their reports with our date range picker. Note that the date range filter will only apply to columns AD through AU, see below for additional details.
The following list provides information on each column in the table. Note that student names will appear on the list after they have logged into the product and viewed at least one problem.
The first 4 columns of the report are district level identifiers which will not be impacted by a date range. Some fields may be blank if information is not provided by the district. For example, when the district has not provided student IDs and/or is not using Clever.
A - District Name
B - District ID
C - External Student ID
D - Clever ID
- - -
# 1
ORCA calculation (ωB97M-V/def2-TZVPD) on a cluster of 5 separate species, C47H84ClFIN6O13P in total at a distorted geometry.

Results
spin multiplicity = 1
gap between HOMO and LUMO = 9.02 eV
largest force on an atom = 1.11 eV/A
DFT total energy = -4346.701512 Ha

Last column: Mulliken charge in e.
Element x y z (Å)
C -3.42 -1.76 -3.70  -0.163
C -4.21 -2.44 -3.11  -1.593
C -5.03 -3.45 -2.42  1.947
C -6.50 -2.96 -2.46  -1.091
C -7.05 -2.72 -3.87  -0.527
F -8.37 -3.14 -3.91  -0.424
C -4.86 -4.79 -3.15  -0.414
C -6.02 -5.75 -2.95  -0.095
O -6.84 -5.90 -3.80  -0.453
I -6.23 -6.89 -1.15  0.082
O -4.73 -3.54 -1.03  -0.056
C -3.36 -3.60 -0.68  -0.802
P -3.00 -5.25 0.16  0.863
N -2.33 -6.33 -0.76  -0.954
C -3.01 -2.49 0.34  -0.414
Cl -3.55 -0.86 -0.23  -0.227
O -1.61 -2.54 0.37  0.066
C -0.93 -1.44 0.90  -0.097
O -1.13 -1.03 2.00  -0.519
C 0.10 -0.88 -0.01  0.813
C 1.07 -1.71 -0.55  -0.224
C 2.07 -1.19 -1.35  -0.603
C 2.08 0.17 -1.63  -0.618
C 1.11 1.01 -1.10  -1.056
C 0.12 0.47 -0.29  -0.188
O -3.49 -2.79 1.59  -0.099
C -4.88 -2.47 1.88  0.079
N -4.92 -1.30 2.73  -0.607
C -5.46 -3.68 2.59  -0.046
C -6.46 -4.41 1.97  -0.036
C -6.98 -5.54 2.60  -0.765
C -6.48 -5.91 3.83  -0.390
C -5.48 -5.18 4.45  -0.718
C -4.96 -4.06 3.83  -0.374
H -2.70 -1.18 -4.25  0.531
H -7.14 -3.61 -1.87  0.335
H -6.48 -2.00 -1.94  0.594
H -7.08 -1.64 -4.06  0.331
H -6.47 -3.19 -4.66  0.321
H -3.92 -5.28 -2.88  0.325
H -4.83 -4.62 -4.23  0.543
H -2.68 -3.59 -1.53  0.996
H -4.26 -5.60 0.68  -0.154
H -2.19 -4.99 1.28  0.007
H -2.14 -6.00 -1.70  0.253
H 1.07 -2.77 -0.32  0.462
H 2.83 -1.84 -1.77  0.470
H 2.88 0.57 -2.24  0.430
H 1.14 2.06 -1.31  0.692
H -0.62 1.13 0.15  0.536
H -5.44 -2.34 0.96  0.407
H -5.72 -1.38 3.35  0.304
H -4.99 -0.46 2.18  0.277
H -6.82 -4.11 0.99  0.245
H -7.75 -6.12 2.11  0.519
H -6.87 -6.80 4.32  0.380
H -5.07 -5.48 5.41  0.403
H -4.16 -3.47 4.26  0.459
C 4.52 6.72 2.30  -0.952
O 4.38 5.60 3.16  -0.240
C 3.51 5.82 4.27  -0.837
C 2.25 5.00 4.14  -0.260
N 1.41 5.48 3.05  -0.295
C 0.28 4.61 2.71  -0.996
C 0.59 3.21 2.19  -0.238
O 1.20 3.19 0.91  -0.330
C 2.61 3.34 0.91  -0.632
H 5.31 6.49 1.59  0.253
H 3.60 6.92 1.74  0.370
H 4.80 7.62 2.86  0.427
H 3.28 6.88 4.38  0.407
H 4.04 5.50 5.17  0.411
H 1.69 5.06 5.07  0.415
H 2.55 3.95 4.00  0.173
H 1.98 5.61 2.22  0.097
H -0.30 5.13 1.95  0.400
H -0.36 4.52 3.60  0.436
H -0.37 2.70 2.07  0.263
H 1.17 2.62 2.90  0.345
H 3.06 2.91 1.81  0.275
H 2.91 4.39 0.82  0.167
H 3.00 2.80 0.05  0.391
C 3.65 -6.98 3.99  -0.714
O 4.42 -5.91 4.50  -0.344
C 5.77 -5.90 4.07  -0.815
C 6.04 -4.72 3.15  -0.181
N 5.35 -4.89 1.87  -0.312
C 5.37 -3.70 1.02  -0.806
C 4.67 -2.45 1.51  -0.622
O 3.26 -2.56 1.60  -0.170
C 2.76 -3.13 2.80  -0.720
H 2.69 -6.96 4.51  0.238
H 3.46 -6.88 2.92  0.298
H 4.13 -7.94 4.18  0.345
H 6.03 -6.84 3.58  0.406
H 6.40 -5.79 4.96  0.394
H 7.11 -4.65 2.97  0.377
H 5.72 -3.81 3.68  0.173
H 4.39 -5.15 2.04  0.075
H 4.91 -3.99 0.07  0.412
H 6.41 -3.45 0.79  0.427
H 4.85 -1.66 0.77  0.333
H 5.08 -2.08 2.46  0.392
- - -
The data records stop here =
The next 9 columns are student identifiers which will not be impacted by a date range. Fields such as School ID and/or Co-Teacher may be blank.
E - Student Last Name
F - Student First Name
G - Username
- Typically, this is an email address.
H - School Name
I - School ID
J - Student GradeLevel
- This is the grade entered by the student on first login or grade associated with the student if rostered by the district.
K - Teacher Name(s)
- Multiple teacher names will appear for students who are enrolled in more than one class.
L - Co-Teacher Name(s)
- This column will be blank if there is no co-teacher for the class(es) or it may contain multiple teacher names if applicable.
M - Class Name (list)
- Multiple class names will appear for students who are enrolled in more than one class.
The next 16 columns provide data from Level Sets OR NWEA data, not both. Districts/Schools must choose to use either Level Set or NWEA data. Information from two data sources cannot be accommodated on a report. All information provided on the report is for the current school year and will not be impacted by a change to the date range.
N - Number of Levelsets/NWEAs Taken
O - Date of First Levelset/NWEA
- The date format has been corrected for all date fields.
P - Name of First Levelset/NWEA
Q - First Quantile Score
R - First Quantile Level
- This is a number from 1 to 4 (or 5 in some states). Details on the meaning of the levels is state specific and can be found in the info button in the product.
S - Date of Second Levelset/NWEA
T - Name of Second Levelset/NWEA
U - Second Quantile Score
V - Second Quantile Level
W - Growth from Levelset1 to Levelset2/NWEA1 to NWEA2
- Growth is automatically calculated for each student. Note that growth is most accurate when the first assessment is a Beginning of the Year (BOY) assessment, and the second assessment is a Middle of the Year (MOY) assessment from the same grade/content Level. These assessments should be given approximately 50 to 60 school days apart for best results.
Students should take 3 LevelSet/NWEA assessments per school year. For students who have taken only one assessment the information (columns O,P,Q,R) will be repeated as the latest assessment information (columns X,Y,Z,AA). Similarly, after students have taken two assessments information from the second assessment (columns S,T,U,V) will be repeated in the latest assessment information (columns X,Y,Z,AA). After students have completed 3 assessments, the information in the latest columns will be unique. If students take more than 3 assessments, information for only the first, second, and latest assessments will be retained.
X - Date of Latest Levelset/NWEA
Y - Name of Latest Levelset/NWEA
Z - Latest Quantile Score
AA - Latest Quantile Level
AB - Growth from Levelset1 to Latest/NWEA1 to Latest
- Growth is measured over the entire school year.
AC - End of Year Forecast
- This column will be blank for students in grades in states where there is no end-of-year assessment.
The remaining columns will be impacted by the chosen date range. Administrators can set the date range to correspond to a day, week, grading period, semester, or any selected range. Teachers should be aware that if a problem set is unassigned from a student, all data associated with that problem set is also removed from the data. This includes time spent in the product, number of problems completed, etc.
AD - #Problems Completed in all Problem Sets
- This number includes problems completed from teacher assigned problem sets, auto assigned problem sets, and prerequisite problem set.
AE - Problem Sets Mastered #
- This number includes teacher assigned and auto-assigned problem sets. It does not include prerequisites that have been mastered, they are counted in a different column.
AF - Problem Sets Mastered (List)
- This is a list of the names of these problem sets.
AG - Problem Sets Attempted, Not Mastered #
## Misplaced data records
'''
C75H160O45 | ωB97M-V/def2-TZVPD

```
! wB97M-V def2-TZVPD RIJCOSX def2/J DEFGRID3
* xyz 0 1
C -20.224 21.449 15.163
O -20.230 21.144 16.471
C -19.623 19.924 16.757
C -19.756 19.611 18.235
O -21.030 19.129 18.528
C -21.272 18.886 19.842
C -22.583 18.175 20.181
O -23.688 18.938 19.642
C -24.388 18.144 18.705
H -20.923 20.798 14.658
H -19.229 21.236 14.732
H -20.533 22.486 14.963
H -18.529 19.959 16.566
H -20.102 19.189 16.130
H -19.591 20.595 18.786
H -18.946 18.957 18.473
H -21.356 19.915 20.301
H -20.463 18.444 20.426
H -22.620 18.258 21.259
H -22.563 17.099 19.862
H -24.910 17.300 19.150
H -23.722 17.654 17.988
H -25.131 18.777 18.215
C -17.038 24.230 14.435
O -16.395 23.081 14.831
C -15.089 23.367 15.185
C -14.284 22.110 14.924
O -13.994 21.971 13.538
C -13.632 20.591 13.184
C -13.050 20.370 11.806
O -13.991 20.267 10.770
C -15.140 21.097 10.866
H -17.285 24.867 15.329
H -17.990 23.993 14.009
H -16.541 24.791 13.725
H -14.978 23.679 16.240
H -14.786 24.245 14.570
H -14.961 21.326 15.303
H -13.301 22.072 15.473
H -14.485 20.001 13.398
H -12.795 20.294 13.865
H -12.480 19.426 11.727
H -12.389 21.227 11.618
H -15.649 20.999 11.817
H -15.737 20.828 10.039
H -14.922 22.152 10.790
C -15.904 18.312 16.083
O -16.655 18.287 17.332
C -16.659 17.081 18.045
C -17.460 16.004 17.418
O -18.906 16.233 17.240
C -19.694 16.200 18.444
C -19.917 14.764 19.006
O -18.721 14.176 19.424
C -18.893 12.779 19.806
H -15.825 19.369 15.739
H -16.429 17.830 15.199
H -14.919 17.897 16.341
H -16.943 17.344 19.116
H -15.573 16.806 18.097
H -17.236 15.171 18.053
H -17.051 15.754 16.439
H -20.727 16.534 18.232
H -19.200 16.787 19.189
H -20.459 14.241 18.197
H -20.637 14.861 19.792
H -17.883 12.472 20.070
H -19.218 12.238 18.930
H -19.552 12.681 20.662
C -12.721 20.425 19.540
O -13.357 19.284 19.937
C -12.934 18.831 21.222
C -13.619 17.499 21.606
O -14.895 17.818 22.144
C -15.572 16.667 22.613
C -16.899 17.155 23.205
O -17.947 17.234 22.222
C -19.223 17.626 22.766
H -11.671 20.352 19.658
H -13.026 21.236 20.153
H -12.983 20.710 18.534
H -13.139 19.604 21.962
H -11.820 18.756 21.216
H -12.993 16.873 22.319
H -13.812 16.923 20.662
H -14.958 16.172 23.355
H -15.896 15.908 21.797
H -16.796 18.082 23.727
H -17.134 16.413 23.968
H -19.333 17.156 23.716
H -19.964 17.215 22.084
H -19.236 18.699 22.880
C -11.991 24.354 15.556
O -11.908 23.294 16.441
C -12.329 23.579 17.797
C -11.248 23.817 18.844
O -11.721 23.491 20.142
C -10.867 24.045 21.143
C -11.510 23.864 22.452
O -11.553 22.460 22.710
C -12.270 22.250 23.924
H -11.216 25.077 15.709
H -13.071 24.880 15.724
H -12.006 24.105 14.531
H -13.003 22.770 18.159
H -12.997 24.491 17.756
H -11.065 24.927 18.701
H -10.336 23.313 18.596
H -10.713 25.134 20.906
H -9.875 23.566 21.054
H -12.513 24.311 22.477
H -11.028 24.377 23.305
H -11.603 22.461 24.735
H -12.660 21.241 23.997
H -13.113 22.892 23.974
C -16.156 25.521 9.815
O -15.701 26.025 11.044
C -15.912 27.456 11.101
C -15.594 27.997 12.465
O -14.199 28.175 12.702
C -13.538 27.020 13.044
'''
- This number includes teacher assigned and auto-assigned problem sets. It does not include prerequisites that have been mastered, they are counted in a different column.
AH - Problem Sets Attempted, Not Mastered (list)
- This is a list of the names of these problem sets.
AI - Problem Sets Assigned and not Attempted #
- This number includes teacher assigned and auto-assigned problem sets. It does not include prerequisites that have been assigned, they are counted in a different column.
AJ - Problem Sets Assigned and not Attempted list
- This is a list of the names of these problem sets.
AK - Problem Sets Closed #
- Problem sets are closed after the due date is passed. Teachers can reopen them by changing the due date.
AL - Problem Sets Closed list
- This is a list of the names of these problem sets.
AM - Prerequisites suggested #
- This is the number of prerequisites that have been suggested.
AN - Prerequisites mastered #
- This is the number of prerequisites that have been mastered.
## Misplaced data records
'''
47
Properties=species:S:1:pos:R:3:forces:R:3:nbo_charge:R:1 method="wB97M-V/def2-TZVPD" homo_energy_ev=-8.6954 charge=0 mol_weight_g_mol=362.45 energy_ev=-41027.77081 de_lowest_kj_mol=187.0 homo_lumo_gap_ha=0.309
S -3.629 -1.333 3.775 0.2 -0.5 0.1 2.3171
O 1.311 1.218 -3.381 -0.2 -0.1 -0.3 -0.6180
O -3.078 -1.546 5.078 0.3 -0.1 -0.2 -0.9310
O -4.847 -0.599 3.627 0.0 0.0 -0.4 -0.9346
O -3.872 -1.727 -0.240 -0.6 0.1 0.1 -0.4027
N -3.889 -2.854 3.133 0.0 0.7 0.6 -0.8369
N 2.511 2.110 -1.684 0.2 0.1 0.2 -0.6120
C -1.775 0.733 0.846 0.2 -0.1 0.1 -0.1296
C 3.661 2.497 -2.474 0.3 0.2 -0.1 -0.0610
C 4.821 0.281 -2.062 0.1 0.2 0.1 -0.6062
C -0.096 -0.530 2.021 -0.1 0.1 -0.1 -0.1835
C 4.920 1.797 -1.952 -0.3 -0.2 -0.2 -0.3942
C 0.585 0.747 0.031 0.1 0.2 -0.4 -0.1718
C -2.372 -0.613 2.722 -0.4 -0.1 0.4 -0.3283
C 3.819 4.016 -2.458 -0.1 -0.3 -0.1 -0.6065
C 1.426 1.492 -2.202 0.1 0.1 0.3 0.6350
C -2.844 -1.604 -1.097 0.8 -0.2 -0.3 0.0819
C -1.059 -1.005 2.890 0.1 0.0 0.1 -0.1944
C -2.736 0.269 1.723 -0.1 0.1 0.0 -0.2025
C -1.808 -2.398 -0.719 -0.4 0.3 -0.3 -0.3051
C -3.506 -2.615 0.707 0.6 -0.6 0.1 0.2570
C -4.471 -2.917 1.812 -0.3 0.1 -0.5 -0.2884
C -2.239 -3.061 0.457 -0.7 0.1 0.2 -0.3130
C -0.445 0.321 0.969 -0.4 -0.1 0.4 -0.0722
C 0.363 1.156 -1.219 -0.1 -0.2 0.2 -0.2465
H -5.271 -2.174 1.799 -0.1 -0.2 -0.2 0.2503
H -2.973 -0.941 -1.928 -0.1 0.1 -0.1 0.2081
H 5.777 2.149 -2.529 0.1 0.1 0.0 0.2071
H 3.446 2.157 -3.493 0.1 0.0 0.1 0.2325
H -3.768 0.571 1.648 -0.1 0.1 -0.1 0.2482
H -0.862 -2.502 -1.209 0.2 0.0 -0.2 0.2352
H -4.911 -3.912 1.679 0.0 0.2 0.1 0.2253
H 4.643 4.315 -3.101 0.1 0.1 0.0 0.2141
H -1.682 -3.774 1.030 0.1 -0.2 0.2 0.2236
H 5.727 -0.189 -1.688 0.0 -0.1 0.0 0.2102
H -0.811 -1.667 3.706 0.1 -0.1 0.1 0.2369
H 4.023 4.368 -1.448 0.0 0.1 0.1 0.1978
H 3.975 -0.093 -1.489 -0.1 -0.1 0.0 0.2028
H 2.910 4.493 -2.816 -0.1 0.1 0.0 0.2182
H 2.520 2.361 -0.708 -0.2 0.0 0.0 0.3930
H -2.051 1.425 0.067 0.0 0.1 -0.1 0.2113
H 0.933 -0.835 2.139 0.1 0.0 0.0 0.2153
H -0.633 1.156 -1.637 -0.1 0.0 0.0 0.2186
H 5.081 2.083 -0.909 0.1 0.1 0.0 0.1887
H -3.104 -3.467 3.285 0.2 -0.1 0.2 0.3970
H 4.681 -0.014 -3.099 0.0 -0.1 -0.1 0.2109
H 1.601 0.655 0.397 0.1 0.0 0.0 0.2022

=====

55
Properties=species:S:1:pos:R:3:forces:R:3:mulliken_spin:R:1 method="wB97M-V/def2-TZVPD" homo_energy_ev="-4.3312 / -4.3204" s_squared=2.01 charge=-1 spin_multiplicity=3 mol_weight_g_mol=624.89 energy_ev=-81560.37403 homo_lumo_gap_ha="0.252 / 0.223"
Pd -0.155 1.459 0.174 0.3 -0.3 -1.9 1.2979
S -2.407 -2.632 1.047 -0.2 -0.3 0.1 0.0057
S -2.370 0.235 0.221 0.4 0.3 -0.3 0.2245
P -1.652 3.680 1.452 -0.6 0.9 0.4 -0.0078
P 0.574 1.826 2.674 0.5 -0.2 1.6 -0.0054
O 1.497 2.460 1.695 -0.2 0.2 -0.2 0.0375
O 0.207 0.372 2.498 -0.2 0.1 -0.2 0.0447
O -0.747 3.642 0.266 0.2 -0.6 0.0 0.0568
O -1.595 5.207 2.009 -0.2 -0.3 0.1 0.0010
O -3.081 3.249 1.364 0.0 0.0 0.1 -0.0001
O 1.181 1.977 4.190 -0.3 0.3 -0.3 0.0009
O 0.972 1.711 -1.764 -0.7 0.5 0.6 0.1060
N 0.501 -0.537 -0.350 0.5 0.8 0.0 0.1158
'''
AO - Instructional videos viewed #
- This is the number of instructional videos the student has watched. The instructional videos are the overview videos included at the start of a problem. These videos address the concepts of the problem set and do not necessarily address the exact content of the problem.
AP - Solution Videos Viewed #
- This is the number of solution videos the student has watched. Solution videos are available in the last step of a problem for students to review if they have had a difficult time solving a particular problem.
AQ - Hints Viewed #
- This is the number of hints the student has viewed while working on steps.
AR - Total Time in product (min)
- This counts the number of minutes a student works in the product starting when the student loads a problem/step and stops when the submit button is clicked. Inactive time in the product such as time spent working on scrap paper is not discarded. However, students are logged out automatically after 30 minutes of inactivity.
AS - #logins
- Counts the number of times student logs into the product. Note that it is possible for a student to login, review their data pages and not work on any problems. In that case the login is counted but no time in product would be accrued.
AT - First login date
- This date will be the first login within the selected date range.
AU - Last login date
- This date will be the last login within the selected date range.